- Python Automation Cookbook
- Jaime Buelta
- 37字
- 2024-12-21 01:38:41
Speeding up web scraping
Most of the time spent downloading information from web pages is usually spent waiting. A request goes from our computer to the remote server to process it, and until the response is composed and comes back to our computer, we cannot do much about it.
During the execution of the recipes in the book, you'll notice there's a wait involved in requests
calls, normally of around one or two seconds. But computers can do other stuff while waiting, including making more requests at the same time. In this recipe, we will see how to download a list of pages in parallel and wait until they are all ready. We will use an intentionally slow server to show why it's worth getting this right.
Getting ready
We'll get code to crawl and search for keywords, making use of the futures
capabilities of Python 3 to download multiple pages at the same time.
{"formula": "CH5NO2P", "method": "ωB97M-V/def2-TZVPD", "e_above_lowest_kcal_mol": 109.8, "orbital_gap_ev": 7.70, "lumo_ha": 0.159, "energy_ev": -15990.695, "total_charge": -1, "spin_multiplicity": 1, "symbols": ["C", "N", "O", "O", "P", "H", "H", "H", "H", "H"], "xyz": [[2.731950, 0.019689, -0.448207], [-2.097926, 0.111700, 0.319611], [0.296553, 1.002229, -0.308217], [-2.856417, 1.241511, -0.284538], [1.710559, 1.248447, 0.265096], [-2.421647, 2.066228, -0.171042], [2.401621, -0.790576, -1.148470], [3.756875, -0.004648, 0.005614], [-1.027466, 0.251485, 0.293875], [-2.394343, 0.240136, 1.275683]], "forces_ev_per_angstrom": [[-0.149, 1.183, 1.411], [-0.173, 0.685, 0.105], [0.580, 0.910, 0.528], [-0.303, -2.094, -0.366], [0.522, -2.591, -1.920], [1.372, 0.880, 0.411], [0.325, 0.862, 0.736], [-0.729, -0.169, -0.718], [-1.610, 0.678, -0.652], [0.165, -0.345, 0.466]], "lowdin_charge": [-0.461, -0.060, -0.723, -0.191, 0.513, 0.023, -0.045, -0.089, 0.006, 0.027]}
Here the entry continues =
A future is an object that represents the promise of a value. This means that you immediately receive an object while the code is being executed in the background – only, when specifically requesting its .result()
, the code waits until the result is available.
If the result is already available at that point, that makes it faster. Think of the operation as putting something in the washing machine while doing other tasks. There's a chance that the laundry will be done by the time we finish the rest of our chores.
To generate a future
, you need a background engine, called an executor. Once created, submit a function and parameters to it to retrieve a future
. The retrieval of the result can be delayed as long as necessary, allowing the generation of several futures
in a row; then we can wait until all are finished and execute them in parallel. This is an alternative to creating one, waiting until it finishes, creating another, and so on.
There are several ways to create an executor; in this recipe, we'll use ThreadPoolExecutor
, which uses threads.
We'll use a prepared example, available at the following GitHub repo: https://github.com/PacktPublishing/Python-Automation-Cookbook-Second-Edition/tree/master/Chapter03/test_site. Download the whole site and run the included script:
$ python simple_delay_server.py -d 2
This serves the site at the URL http://localhost:8000. You can see it in a browser. It's a simple blog with three entries. Most of it is uninteresting, but we added a couple of paragraphs that contain the keyword python
. The parameter -d 2
makes the server intentionally slow, simulating a bad connection.
How to do it...
- Write the following script,
. The full code is available on GitHub at theChapter03
directory (https://github.com/PacktPublishing/Python-Automation-Cookbook-Second-Edition/blob/master/Chapter03/speed_up_step1.py). Here are only the most relevant parts. It is based oncrawling_web_step1.py
:... def process_link(source_link, text): ... return source_link, get_links(parsed_source, page) ... def main(base_url, to_search, workers): checked_links = set() to_check = [base_url] max_checks = 10 with concurrent.futures.ThreadPoolExecutor(max_workers=workers) as executor: while to_check: futures = [executor.submit(process_link, url, to_search) for url in to_check] to_check = [] for data in concurrent.futures.as_completed(futures): link, new_links = data.result() checked_links.add(link) for link in new_links: if link not in checked_links and link not in to_check: to_check.append(link) max_checks -= 1 if not max_checks: return if __name__ == '__main__': parser = argparse.ArgumentParser() ... parser.add_argument('-w', type=int, help='Number of workers', default=4) args = parser.parse_args() main(args.u, args.p, args.w)
Next to the page, the page also holds calculated molecules >
'''
1.
The following is a DFT calculation (wB97M-V/def2-TZVPD) of a molecular structure, C30H46AlBF2N7O2P2.

Structure (XYZ):
```
91
Properties=species:S:1:pos:R:3:forces:R:3:lowdin_charge:R:1
Al 0.6898 -0.6556 -1.7655 -0.29 0.34 0.22 0.086
C 0.5241 -2.4619 4.6137 0.01 -0.03 -0.01 -0.306
P 0.4507 -1.7068 2.9430 -0.12 0.01 -0.07 0.836
C -0.7973 -0.3902 3.2477 0.00 -0.08 -0.03 -0.299
C 1.9767 -0.6791 3.0413 0.03 0.00 -0.05 -0.434
C 2.1765 0.3323 1.9124 -0.10 0.06 0.05 -0.389
P 2.3611 -0.2942 0.1894 0.14 -0.03 -0.14 0.892
C 3.3573 1.0741 -0.4926 0.02 0.01 0.01 -0.226
C 3.5566 -1.6565 0.3600 0.00 0.00 0.02 -0.236
H 0.6466 -1.7096 5.3957 0.00 0.01 -0.01 0.044
H 1.3586 -3.1620 4.6631 0.00 -0.01 0.01 0.037
H -0.3906 -3.0233 4.8077 0.00 0.01 -0.01 0.034
H -0.5256 0.2305 4.1046 0.02 -0.02 -0.02 0.034
H -1.7701 -0.8440 3.4523 0.01 0.01 -0.03 0.040
H -0.9027 0.2603 2.3763 -0.01 -0.02 0.02 0.029
H 2.8303 -1.3598 3.0901 0.00 -0.01 -0.01 0.072
H 1.9545 -0.1349 3.9912 0.03 0.01 0.00 0.078
H 3.1049 0.8791 2.1034 -0.02 0.04 0.01 0.085
H 1.3743 1.0773 1.9036 -0.03 0.00 0.01 0.066
H 4.2862 1.1851 0.0694 -0.01 0.00 0.00 0.063
H 2.7823 1.9986 -0.4238 -0.01 0.02 0.02 0.042
H 3.6014 0.9063 -1.5399 0.01 0.00 0.05 0.035
H 4.4145 -1.3513 0.9617 0.00 0.00 0.00 0.060
H 3.9058 -1.9471 -0.6299 0.00 0.00 -0.01 0.041
H 3.0761 -2.5177 0.8253 -0.01 0.00 0.00 0.040
C -4.3205 -3.7578 -0.9414 0.00 0.00 0.01 -0.066
C -3.4479 -4.9387 -0.5265 0.00 0.01 0.00 -0.402
C -2.7508 -5.5622 -1.7311 0.00 0.00 0.00 -0.066
C -2.4506 -4.5599 0.5708 0.00 -0.01 0.01 -0.090
N -1.5128 -3.5241 0.1330 0.04 -0.01 0.06 -0.066
C -1.6535 -2.1981 0.1147 -0.09 0.17 0.06 -0.093
N -0.5738 -1.6917 -0.4180 0.40 -0.22 -0.15 0.047
N 0.2211 -2.7371 -0.7243 -0.01 -0.22 0.15 0.008
N -0.3300 -3.8398 -0.4021 -0.04 -0.02 0.00 0.140
H -5.1142 -4.0931 -1.6082 0.00 0.00 -0.01 0.088
H -3.7423 -3.0054 -1.4864 0.00 0.01 0.00 0.065
H -4.7945 -3.2765 -0.0831 0.00 0.00 0.00 0.085
H -4.0894 -5.6947 -0.0645 0.00 -0.01 0.00 0.143
H -2.0875 -4.8410 -2.2167 0.00 0.00 -0.01 0.059
H -3.4875 -5.8820 -2.4679 0.00 0.00 0.00 0.086
H -2.1534 -6.4300 -1.4496 0.01 0.00 0.00 0.087
H -1.8377 -5.4102 0.8629 -0.01 0.00 0.01 0.134
H -2.9597 -4.1763 1.4546 0.00 0.01 -0.01 0.135
H -2.5028 -1.6524 0.4880 -0.01 0.01 -0.01 0.161
F 2.0207 -0.7401 -4.4610 0.06 0.01 0.01 0.156
B 2.3264 -0.8490 -3.1588 -0.08 -0.07 -0.08 -0.609
F 3.6331 -1.0189 -2.9436 0.01 -0.06 0.04 0.152
C 0.3342 -3.3174 -4.1728 -0.01 0.00 0.00 0.012
C -0.7252 -2.2965 -3.9540 0.01 -0.01 0.00 -0.339
N -0.7091 -1.2930 -3.0921 -0.05 0.05 -0.01 0.063
C -1.8984 -0.5947 -3.2457 -0.01 -0.02 -0.01 -0.060
C -2.6317 -1.1921 -4.2129 0.01 0.00 0.00 -0.045
N -1.8787 -2.2639 -4.6450 0.00 0.00 -0.01 0.127
H 0.9315 -3.4429 -3.2719 0.00 -0.01 0.00 0.071
H 0.9958 -3.0138 -4.9843 -0.01 0.00 0.00 0.096
H -0.1087 -4.2805 -4.4254 0.00 0.00 0.00 0.092
H -2.1128 0.2800 -2.6534 -0.01 0.01 0.01 0.112
H -3.5920 -0.9550 -4.6331 0.00 0.00 0.00 0.123
H -2.1262 -2.9051 -5.3800 0.00 0.00 0.00 0.170
'''
Back to the page >
- Notice the differences in the
function. Also, there's an extra parameter added (number of concurrent workers), and the functionprocess_link
now returns the source link. - Run the
script to get a time baseline. Notice that the output has been removed here for clarity:$ time python crawling_web_step1.py http://localhost:8000/ ... REMOVED OUTPUT real 0m12.221s user 0m0.160s sys 0m0.034s
== What comes next are molecular data, not part of the text ==
=====
1.
Entry from OMol25: a molecular structure, C12H12F12N4O12S4Zn2 (wB97M-V/def2-TZVPD).

Computed properties:
- Highest occupied orbital energy: -8.28 eV
- Electronic energy: -215951.081 eV
- 2S+1: 1
- Maximum force: 7.34 eV/Å
- HOMO-LUMO gap: 0.20543 Ha

XYZ file:
```
58
Properties=species:S:1:pos:R:3:nbo_charge:R:1
Zn 0.567 -0.169 2.618 1.80
Zn -2.669 1.316 -1.358 1.76
C 4.233 -3.172 1.919 0.79
F 4.548 -4.091 2.817 -0.32
F 5.276 -2.787 1.297 -0.28
F 3.372 -3.745 1.073 -0.33
S 3.584 -1.585 2.919 2.22
O 3.649 -1.730 4.371 -0.95
O 4.589 -0.528 2.560 -0.92
O 2.240 -1.197 2.492 -1.14
C -1.156 -2.923 -0.626 0.78
F -0.037 -3.012 -1.291 -0.28
F -2.206 -3.294 -1.318 -0.29
F -1.082 -3.658 0.545 -0.32
S -1.410 -1.187 0.125 2.32
O -2.633 -1.186 0.968 -0.96
O -0.313 -0.993 1.015 -1.06
O -1.498 -0.136 -0.933 -1.11
C -1.916 3.796 2.560 0.77
F -0.670 3.996 2.915 -0.30
F -2.659 4.155 3.607 -0.29
F -2.172 4.567 1.538 -0.31
S -2.145 1.996 2.014 2.26
O -2.149 1.934 0.524 -1.10
O -0.988 1.191 2.508 -1.06
O -3.473 1.646 2.705 -0.86
C 1.857 3.508 0.447 0.75
F 2.729 4.258 -0.296 -0.34
F 1.850 4.014 1.691 -0.31
F 0.717 3.429 -0.142 -0.32
S 2.673 1.706 0.540 2.26
O 3.028 1.262 -0.812 -0.94
O 3.820 1.776 1.442 -0.92
O 1.609 0.807 1.087 -1.14
C 0.562 4.346 -3.226 -0.76
C -0.245 3.265 -2.718 0.46
N -0.798 2.309 -2.349 -0.51
H 0.298 4.755 -4.201 0.27
H 1.579 3.963 -3.310 0.30
H 0.582 5.218 -2.572 0.28
C -4.510 0.450 -5.402 -0.73
C -3.709 0.457 -4.182 0.50
N -2.996 0.488 -3.233 -0.55
H -4.367 -0.568 -5.765 0.29
H -4.121 1.174 -6.117 0.29
H -5.530 0.641 -5.070 0.28
C -3.104 -3.090 3.171 -0.72
C -3.853 -1.859 3.503 0.29
N -4.405 -0.857 3.738 -0.32
H -3.013 -3.821 3.975 0.25
H -2.085 -2.812 2.902 0.25
H -3.442 -3.667 2.310 0.25
C 3.577 -3.883 -2.229 -0.72
C 3.839 -2.423 -2.146 0.25
N 4.101 -1.266 -2.073 -0.28
H 4.250 -4.337 -1.502 0.26
H 3.621 -4.325 -3.224 0.25
H 2.603 -4.119 -1.800 0.24
```

---

2.
Entry from OMol25: 2 unconnected molecules or ions with the total composition C4H8N3O2 (wB97M-V/def2-TZVPD).

Computed properties:
- Highest occupied orbital energy (alpha / beta): -13.13 / -13.05 eV
- Relative energy (zero: lowest compared OMol25 entry of this formula, charge and spin): 8.038 eV
- Net charge: +1
- Electronic energy: -12829.233 eV
- 2S+1: 1
- Maximum force: 4.48 eV/Å
- HOMO-LUMO gap (alpha / beta): 0.26268 / 0.21433 Ha

XYZ file:
```
17
Properties=species:S:1:pos:R:3:nbo_charge:R:1
C 0.596 -0.033 -0.274 0.35
C -1.641 -0.341 0.119 -0.24
C -1.247 -1.282 -1.018 -0.24
C -0.425 1.506 1.174 -0.41
N -0.456 0.520 0.243 -0.42
N 0.216 -1.134 -0.987 -0.62
N 3.494 0.316 -0.243 0.71
O 3.530 1.343 0.309 -0.07
O 3.757 -0.748 -0.569 -0.06
H -2.512 0.372 -0.042 0.24
H -1.762 -0.926 1.104 0.22
H -1.536 -2.296 -0.827 0.23
H -1.704 -0.944 -2.009 0.22
H -1.232 2.298 1.198 0.23
H -0.528 1.173 2.213 0.21
H 0.556 1.859 1.057 0.22
H 0.895 -1.682 -1.448 0.42
```

---

3.
Entry from OMol25: a molecular structure, C34H86N2O14PRb (wB97M-V/def2-TZVPD).

Computed properties:
=====
== Back to the text ==
- Run the new script with one worker, which will make it slower than the original one:
$ time python speed_up_step1.py -w 1 ... REMOVED OUTPUT real 0m16.403s user 0m0.181s sys 0m0.068s
- Increase the number of workers:
$ time python speed_up_step1.py -w 2 ... REMOVED OUTPUT real 0m10.353s user 0m0.199s sys 0m0.068s
- Adding more workers decreases the time:
$ time python speed_up_step1.py -w 5 ... REMOVED OUTPUT real 0m6.234s user 0m0.171s sys 0m0.040s
How it works...
The main engine to create the concurrent requests is the main function. Notice that the rest of the code is basically untouched (other than returning the source link in the process_link
This change is actually quite common when adapting for concurrency. Concurrent tasks need to return all the relevant data, as they cannot rely on an ordered context.
This is the relevant part of the code that handles the concurrent engine:
with concurrent.futures.ThreadPoolExecutor(max_workers=workers) as executor:
while to_check:
futures = [executor.submit(process_link, url, to_search)
for url in to_check]
to_check = []
for data in concurrent.futures.as_completed(futures):
link, new_links = data.result()
for link in new_links:
if link not in checked_links and link not in to_check:
max_checks -= 1
if not max_checks:
The with
context creates a pool of workers, specifying how many. Inside, a list of futures containing all the URLs to retrieve is created. The .as_completed()
function returns the futures that are finished, and then there's some work to do to obtain newly found links and check whether they need to be added to be retrieved or not. This process is similar to the one presented in the Crawling the web recipe.
The process starts again until enough links have been retrieved or there are no links to retrieve. Note that the links are retrieved in batches; the first time, the base link is processed and all links are retrieved. In the second iteration, all those links will be requested. Once they are all downloaded, a new batch will be processed.
When dealing with concurrent requests, keep in mind that they can change order between two executions. If a request takes a little more or a little less time, that can affect the ordering of the retrieved information. Because we stop after downloading 10 pages, that also means that the 10 pages could be different.
There's more...
The full futures
documentation in Python can be found here: https://docs.python.org/3/library/concurrent.futures.html.
As you can see in steps 4 and 5 in the How to do it… section, properly determining the number of workers can require some tests. Some numbers can make the process slower, due to the increase in management. Do not be afraid to experiment!
In the Python world, there are other ways to make concurrent HTTP requests. There's a native request module that allows us to work with futures
, called requests-futures
. It can be found here: https://github.com/ross/requests-futures.
Another alternative is to use asynchronous programming. This way of working has recently gotten a lot of attention, as it can be very efficient in situations that involve dealing with many concurrent calls, but the resulting way of coding is different from the traditional way and requires some time to get used to. Python includes the asyncio
module to work that way, and there's a good module called aiohttp
to work with HTTP requests. You can find more information about aiohttp
here: https://aiohttp.readthedocs.io/en/stable/client_quickstart.html.
A good introduction to asynchronous programming can be found in this article: https://djangostars.com/blog/asynchronous-programming-in-python-asyncio/.
See also
- The Crawling the web recipe, earlier in this chapter, for the less efficient alternative to this recipe.
- The Downloading web pages recipe, earlier in this chapter, to learn the basics of requesting web pages.